# To do
Give back the material below exactly.
# Data
No. 1
Mg2Cd2InAg2: simulated powder XRD pattern (Cu Ka), based on a crystal structure in Alexandria, relaxed with GGA-PBE.
Peak positions follow from Bragg's law for the DFT cell and can differ from measured ones.

Cell and atoms:
```
data_Mg2Cd2InAg2
_cell_length_a 7.7656
_cell_length_b 7.7656
_cell_length_c 7.0767
_cell_angle_alpha 117.06
_cell_angle_beta 117.06
_cell_angle_gamma 23.98
_space_group_name_H-M_alt 'P 1'
_space_group_IT_number 1
loop_
_space_group_symop_operation_xyz
'x,y,z'
loop_
_atom_site_label
_atom_site_fract_x
_atom_site_fract_y
_atom_site_fract_z
Mg1 0.0717 0.0717 0.4142
Mg2 0.9283 0.9283 0.5858
Cd1 0.2826 0.2826 0.7106
Cd2 0.7174 0.7174 0.2894
In1 0.5000 0.5000 0.0000
Ag1 0.1436 0.1436 0.8760
Ag2 0.8564 0.8564 0.1240
```

Most intense lines, 5 to 70 degrees two-theta, by angle:
- 2θ = 14.14°, rel. 74
- 2θ = 30.45°, rel. 100
- 2θ = 33.30°, rel. 60
- 2θ = 35.72°, rel. 88
- 2θ = 36.87°, rel. 89
- 2θ = 38.35°, rel. 86
- 2θ = 38.76°, rel. 73
- 2θ = 40.80°, rel. 62

No. 2
Ac3TmPb2: simulated powder XRD pattern (Cu Ka), based on a crystal structure in Alexandria, relaxed with GGA-PBE.
Peak positions follow from Bragg's law for the DFT cell and can differ from measured ones.

Cell and atoms:
```
data_Ac3TmPb2
_cell_length_a 8.9259
_cell_length_b 8.9259
_cell_length_c 8.9259
_cell_angle_alpha 59.63
_cell_angle_beta 59.63
_cell_angle_gamma 59.63
_space_group_name_H-M_alt 'P 1'
_space_group_IT_number 1
loop_
_space_group_symop_operation_xyz
'x,y,z'
loop_
_atom_site_label
_atom_site_fract_x
_atom_site_fract_y
_atom_site_fract_z
Ac1 0.0373 0.7500 0.4627
Ac2 0.2500 0.5373 0.9627
Ac3 0.4627 0.0373 0.7500
Ac4 0.5373 0.9627 0.2500
Ac5 0.7500 0.4627 0.0373
Ac6 0.9627 0.2500 0.5373
Tm1 0.0000 0.0000 0.0000
Tm2 0.5000 0.5000 0.5000
Pb1 0.1444 0.1444 0.1444
Pb2 0.3556 0.3556 0.3556
Pb3 0.6444 0.6444 0.6444
Pb4 0.8556 0.8556 0.8556
```

Most intense lines, 5 to 70 degrees two-theta, by angle:
- 2θ = 20.01°, rel. 20
- 2θ = 23.45°, rel. 100
- 2θ = 31.72°, rel. 93
- 2θ = 34.75°, rel. 18
- 2θ = 35.01°, rel. 89
- 2θ = 42.32°, rel. 22
- 2θ = 47.96°, rel. 27
- 2θ = 60.76°, rel. 18

----------

For Er2S3, a DFT-relaxed cell (GGA-PBE, the Materials Project) gives the calculated PXRD pattern in this record (Cu Ka).
Intensities are scaled so that the largest is 100.

The 6 most intense peaks (10 to 90 degrees two-theta), in order of rising 2θ:
d_spacing, 2θ (°), I_rel
3.710, 23.98, 100
3.409, 26.14, 44
3.338, 26.71, 54
3.300, 27.02, 48
2.966, 30.13, 46
2.502, 35.89, 54

Atomic structure:
```
20
Lattice="10.570 0.000 0.000 0.000 3.838 0.000 0.000 0.000 10.420" Properties=species:S:1:pos:R:3 pbc="T T T"
Er 0.084 0.959 1.956
Er 2.025 0.959 5.260
Er 3.260 2.878 0.049
Er 5.201 2.878 7.166
Er 5.368 0.959 3.255
Er 7.310 0.959 10.371
Er 8.545 2.878 5.161
Er 10.486 2.878 8.465
S 0.474 2.878 3.891
S 1.262 0.959 9.856
S 2.426 2.878 7.255
S 2.858 0.959 2.045
S 4.023 2.878 4.646
S 4.811 0.959 9.101
S 5.758 2.878 1.319
S 6.547 0.959 5.774
S 7.711 2.878 8.376
S 8.143 0.959 3.165
S 9.308 2.878 0.564
S 10.096 0.959 6.530
```

=====

For Er2S3, a DFT-relaxed cell (GGA-PBE, the Materials Project) gives the calculated PXRD pattern in this record (Cu Ka).
Intensities are scaled so that the largest is 100.

The 6 most intense peaks (10 to 90 degrees two-theta), in order of rising 2θ:
d_spacing, 2θ (°), I_rel
3.778, 23.55, 86
3.551, 25.08, 73
3.286, 27.14, 100
2.447, 36.73, 77
2.246, 40.15, 86
2.036, 44.50, 100

Atomic structure:
```
30
Lattice="10.116 0.000 0.000 0.000 3.994 0.000 -2.631 0.000 17.349" Properties=species:S:1:pos:R:3 pbc="T T T"
Er -0.130 0.998 1.742
Er -1.121 2.995 10.664
Er 1.885 0.998 8.316
Er 1.110 0.998 13.517
Er 2.594 2.995 4.887
Er 3.620 0.998 1.217
Er 3.866 2.995 16.131
Er 4.892 0.998 12.461
Er 6.376 2.995 3.832
Er 5.601 2.995 9.033
Er 8.607 0.998 6.685
Er 7.616 2.995 15.607
S -0.064 2.995 8.109
S -1.205 0.998 16.806
S -0.665 2.995 13.570
S 0.994 0.998 5.529
S 1.781 2.995 2.279
S 0.691 0.998 10.877
S 2.096 0.998 16.042
# Here it is
No. 1
Mg2Cd2InAg2: simulated powder XRD pattern (Cu Ka), based on a crystal structure in Alexandria, relaxed with GGA-PBE.
Peak positions follow from Bragg's law for the DFT cell and can differ from measured ones.

Cell and atoms:
```
data_Mg2Cd2InAg2
_cell_length_a 7.7656
_cell_length_b 7.7656
_cell_length_c 7.0767
_cell_angle_alpha 117.06
_cell_angle_beta 117.06
_cell_angle_gamma 23.98
_space_group_name_H-M_alt 'P 1'
_space_group_IT_number 1
loop_
_space_group_symop_operation_xyz
'x,y,z'
loop_
_atom_site_label
_atom_site_fract_x
_atom_site_fract_y
_atom_site_fract_z
Mg1 0.0717 0.0717 0.4142
Mg2 0.9283 0.9283 0.5858
Cd1 0.2826 0.2826 0.7106
Cd2 0.7174 0.7174 0.2894
In1 0.5000 0.5000 0.0000
Ag1 0.1436 0.1436 0.8760
Ag2 0.8564 0.8564 0.1240
```

Most intense lines, 5 to 70 degrees two-theta, by angle:
- 2θ = 14.14°, rel. 74
- 2θ = 30.45°, rel. 100
- 2θ = 33.30°, rel. 60
- 2θ = 35.72°, rel. 88
- 2θ = 36.87°, rel. 89
- 2θ = 38.35°, rel. 86
- 2θ = 38.76°, rel. 73
- 2θ = 40.80°, rel. 62

No. 2
Ac3TmPb2: simulated powder XRD pattern (Cu Ka), based on a crystal structure in Alexandria, relaxed with GGA-PBE.
Peak positions follow from Bragg's law for the DFT cell and can differ from measured ones.

Cell and atoms:
```
data_Ac3TmPb2
_cell_length_a 8.9259
_cell_length_b 8.9259
_cell_length_c 8.9259
_cell_angle_alpha 59.63
_cell_angle_beta 59.63
_cell_angle_gamma 59.63
_space_group_name_H-M_alt 'P 1'
_space_group_IT_number 1
loop_
_space_group_symop_operation_xyz
'x,y,z'
loop_
_atom_site_label
_atom_site_fract_x
_atom_site_fract_y
_atom_site_fract_z
Ac1 0.0373 0.7500 0.4627
Ac2 0.2500 0.5373 0.9627
Ac3 0.4627 0.0373 0.7500
Ac4 0.5373 0.9627 0.2500
Ac5 0.7500 0.4627 0.0373
Ac6 0.9627 0.2500 0.5373
Tm1 0.0000 0.0000 0.0000
Tm2 0.5000 0.5000 0.5000
Pb1 0.1444 0.1444 0.1444
Pb2 0.3556 0.3556 0.3556
Pb3 0.6444 0.6444 0.6444
Pb4 0.8556 0.8556 0.8556
```

Most intense lines, 5 to 70 degrees two-theta, by angle:
- 2θ = 20.01°, rel. 20
- 2θ = 23.45°, rel. 100
- 2θ = 31.72°, rel. 93
- 2θ = 34.75°, rel. 18
- 2θ = 35.01°, rel. 89
- 2θ = 42.32°, rel. 22
- 2θ = 47.96°, rel. 27
- 2θ = 60.76°, rel. 18

----------

For Er2S3, a DFT-relaxed cell (GGA-PBE, the Materials Project) gives the calculated PXRD pattern in this record (Cu Ka).
Intensities are scaled so that the largest is 100.

The 6 most intense peaks (10 to 90 degrees two-theta), in order of rising 2θ:
d_spacing, 2θ (°), I_rel
3.710, 23.98, 100
3.409, 26.14, 44
3.338, 26.71, 54
3.300, 27.02, 48
2.966, 30.13, 46
2.502, 35.89, 54

Atomic structure:
```
20
Lattice="10.570 0.000 0.000 0.000 3.838 0.000 0.000 0.000 10.420" Properties=species:S:1:pos:R:3 pbc="T T T"
Er 0.084 0.959 1.956
Er 2.025 0.959 5.260
Er 3.260 2.878 0.049
Er 5.201 2.878 7.166
Er 5.368 0.959 3.255
Er 7.310 0.959 10.371
Er 8.545 2.878 5.161
Er 10.486 2.878 8.465
S 0.474 2.878 3.891
S 1.262 0.959 9.856
S 2.426 2.878 7.255
S 2.858 0.959 2.045
S 4.023 2.878 4.646
S 4.811 0.959 9.101
S 5.758 2.878 1.319
S 6.547 0.959 5.774
S 7.711 2.878 8.376
S 8.143 0.959 3.165
S 9.308 2.878 0.564
S 10.096 0.959 6.530
```

=====

For Er2S3, a DFT-relaxed cell (GGA-PBE, the Materials Project) gives the calculated PXRD pattern in this record (Cu Ka).
Intensities are scaled so that the largest is 100.

The 6 most intense peaks (10 to 90 degrees two-theta), in order of rising 2θ:
d_spacing, 2θ (°), I_rel
3.778, 23.55, 86
3.551, 25.08, 73
3.286, 27.14, 100
2.447, 36.73, 77
2.246, 40.15, 86
2.036, 44.50, 100

Atomic structure:
```
30
Lattice="10.116 0.000 0.000 0.000 3.994 0.000 -2.631 0.000 17.349" Properties=species:S:1:pos:R:3 pbc="T T T"
Er -0.130 0.998 1.742
Er -1.121 2.995 10.664
Er 1.885 0.998 8.316
Er 1.110 0.998 13.517
Er 2.594 2.995 4.887
Er 3.620 0.998 1.217
Er 3.866 2.995 16.131
Er 4.892 0.998 12.461
Er 6.376 2.995 3.832
Er 5.601 2.995 9.033
Er 8.607 0.998 6.685
Er 7.616 2.995 15.607
S -0.064 2.995 8.109
S -1.205 0.998 16.806
S -0.665 2.995 13.570
S 0.994 0.998 5.529
S 1.781 2.995 2.279
S 0.691 0.998 10.877
S 2.096 0.998 16.042